Goal setting with greater intention was a part of the plan in 2017. For those that were following along then you may remember ‘The Backyard Project’ being one of our major focuses. If you are new, let me fill you in…as a family we set a goal of creating some extra fun play activities for in the backyard-a mix of DIY and store bought. This involved building a concrete car race track, a Hopscotch path, outdoor play equipment and upcycling our old nappy change table for an outdoor toy storage solution.

By the time Christmas rolled around, we had completed these tasks and achieved most of our goals-all but one-a mud kitchen, which has rolled over to the 2018 goals list.

Another focus was to improve the morning and afternoon routines. Our goals for this focused on completing the same 5 daily tasks working towards making them apart of the everyday routine (habitual). We called these tasks the Daily 5 and we created what we call the Launch Pad.

We also created personal goals (short term and long term) informally by talking about the things we wanted to achieve eg. I am going to finish building this tower without it falling down or I want to learn how to dance. We then discussed what steps were necessary to reach these goals and then put them into place.

Moving forward to 2018, we will still tackle goal setting in much the same way as we did in 2017, with both family and personal goals however, we are mixing it up by adding a visual component My Learning Goals Clip Chart for our little learners. The plan is then to move towards a written component (coming soon to the website) which will add another dimension of learning.

For those that are long term followers, you will know, I participated in the ‘one word’ challenge with this years word being ‘embrace’. For those that are new to the celebrateplay journey, the one word challenge involves choosing ‘one word’ for the brginning of the new year rather than a making a series of new year resolutions. So this has been the basis of our goal setting in 2018. Embrace was chosen due to the big changes we expected in 2018 and wanting to begin the new year with a positive mindset. In the upcoming Goal Setting at celebrateplay HQ – Part Two blog, I will share with you what 2018 goals we have in place, how the learning goals clip chart is working for us, what goal setting courses we are joining in and what else we have in store around goal setting. In the meantime, I would love to learn more about how goal setting works for you and your family.

What comes next are records of crystals, not part of the page >
-- begin --
For BaLaMg14, a structure optimized by DFT (GGA-PBE) gives the simulated powder diffractogram in this record (Cu Kα, 1.54184 Å).
Kinematic intensities with the Lorentz-polarization factor, no thermal factor.

Top 8 peaks for 2θ from 5° to 70°, low angle first:
2θ 8.24, intensity 87; 2θ 15.19, intensity 26; 2θ 17.31, intensity 42; 2θ 30.83, intensity 29; 2θ 33.42, intensity 35; 2θ 35.03, intensity 47; 2θ 35.18, intensity 100; 2θ 60.85, intensity 26

a b c (Å): 10.724 6.722 6.722
angles (deg): 59.65 90.00 90.00
Element x y z (fractional)
Ba 0.000 0.000 0.000
La 0.000 0.497 0.497
Mg 0.000 0.001 0.502
Mg 0.000 0.502 0.001
Mg 0.254 0.672 0.672
Mg 0.261 0.177 0.177
Mg 0.271 0.171 0.660
Mg 0.271 0.660 0.171
Mg 0.500 0.000 0.502
Mg 0.500 0.004 0.004
Mg 0.500 0.502 0.000
Mg 0.500 0.505 0.505
Mg 0.729 0.171 0.660
Mg 0.729 0.660 0.171
Mg 0.739 0.177 0.177
-- stop --
The page goes on >

Do you set goals in your home? How does it work for you and your family?